Page 66 of Third and Ten

“Maybe we could start with a celebratory lunch, just the three of us. That is, if you don’t have to rush back to school today,” she suggests, though she looks like she wants to say yes to my first offer.

“That would be great, especially now that I don’t have to rely on Ethan for an invitation,” I answer with a wink, making her laugh again. We walk over to her car, and I block her passage when I open the door so I can address Ethan first.

Misplaced calculated crystals:
-- begin --
No. 1
# KAlSi3O8

An optimized crystal structure of KAlSi3O8 (PBE, the Materials Project database). Values from VASP.

Structure (Quantum ESPRESSO input):
```
&SYSTEM
  ibrav = 0, nat = 13, ntyp = 4
/
ATOMIC_SPECIES
K 39.10 K.upf
Al 26.98 Al.upf
Si 28.09 Si.upf
O 16.00 O.upf
CELL_PARAMETERS angstrom
1.376 6.628 0.000
-1.376 6.628 0.000
0.000 6.555 6.759
ATOMIC_POSITIONS crystal
K 0.500 0.500 0.999
Al 0.350 0.350 0.815
Si 0.653 0.653 0.179
Si 0.167 0.167 0.483
Si 0.837 0.837 0.515
O 0.550 0.550 0.615
O 0.459 0.459 0.378
O 0.162 0.162 0.299
O 0.834 0.834 0.699
O 0.143 0.143 0.066
O 0.838 0.838 0.965
O 0.209 0.209 0.632
O 0.798 0.798 0.357
```

Computed properties:
DFT formation energy, meV/atom: -3057.5
Spin magnetization, μB/atom: 0.000
E, eV per cell: -94.967
Crystal system: monoclinic
SG: No. 8
ΔE to the lowest computed polymorph, meV/atom: 189
Calculated volume, Å³/atom: 9.48

=====

No. 2
# KAlSiO4

An optimized crystal structure of KAlSiO4 (PBE, the Materials Project database). Values from VASP.

Structure (Quantum ESPRESSO input):
```
&SYSTEM
  ibrav = 0, nat = 14, ntyp = 4
/
ATOMIC_SPECIES
K 39.10 K.upf
Al 26.98 Al.upf
Si 28.09 Si.upf
O 16.00 O.upf
CELL_PARAMETERS angstrom
-2.504 -1.059 -4.467
-1.098 -2.729 4.324
-6.273 5.884 2.120
ATOMIC_POSITIONS crystal
K 0.000 0.000 0.754
K 0.000 0.000 0.254
Al 0.333 0.667 0.060
Al 0.667 0.333 0.560
Si 0.667 0.333 0.942
Si 0.333 0.667 0.442
O 0.667 0.333 0.757
O 0.333 0.667 0.257
O 0.382 0.397 0.500
O 0.603 0.986 0.500
O 0.014 0.618 0.500
O 0.397 0.382 0.000
O 0.618 0.014 0.000
O 0.986 0.603 0.000
```

Computed properties:
DFT formation energy, meV/atom: -3187.2
Spin magnetization, μB/atom: 0.000
E, eV per cell: -99.272
Crystal system: trigonal
SG: No. 159
ΔE to the lowest computed polymorph, meV/atom: 2
Calculated volume, Å³/atom: 14.99

----------

Material: K2RbAsCl6
Method: DFT, GGA-PBE
State: relaxed

Cell and atoms, written as POSCAR:
```
K2RbAsCl6
1.0
0.000 5.583 5.583
5.583 0.000 5.583
5.583 5.583 0.000
K Rb As Cl
2 1 1 6
direct
0.250 0.250 0.250
0.750 0.750 0.750
0.000 0.000 0.000
0.500 0.500 0.500
0.276 0.276 0.724
0.276 0.724 0.276
0.276 0.724 0.724
0.724 0.276 0.276
0.724 0.276 0.724
0.724 0.724 0.276
```

- electronic total energy (eV/atom) = -3.269
- energy relative to the elements (meV/atom) = -1742
- corrected total energy (MP2020 scheme) (hartree per atom) = -0.13368
- space group = Fm-3m (225)
- volume (Å³/cell) = 348.0

---

Material: As4S11N12Cl14
Method: DFT, GGA-PBE
State: relaxed

Cell and atoms, written as POSCAR:
```
As4S11N12Cl14
1.0
16.725 0.000 0.000
0.000 16.725 0.000
0.000 0.000 16.374
As S N Cl
16 44 48 56
direct
0.020 0.120 0.100
0.105 0.719 0.916
0.120 0.980 0.900
0.219 0.605 0.416
0.281 0.105 0.084
0.380 0.480 0.600
0.395 0.219 0.584
0.480 0.620 0.400
0.520 0.380 0.400
0.605 0.781 0.584
0.620 0.520 0.600
0.719 0.895 0.084
0.781 0.395 0.416
0.880 0.020 0.900
0.895 0.281 0.916
0.980 0.880 0.100
0.000 0.000 0.409
0.000 0.000 0.591
0.036 0.395 0.187
0.046 0.307 0.608
-- stop --
End of the calculated crystals:

“Hey, kid.”

“Hey, Coach Thirsty. I mean, Uncle Thirsty.”

I clench my jaw as I try to decide whether I want to grab him by the collar and slug him in the nose or to laugh at him. “We’re all going to lunch together, just down the road. Follow us in the car.”

“Yes, sir,” he agrees with a smug look.

I start to back out but lean in on second thought. “Send me that video. Then delete it,” I order gruffly. “Got it?”

He glares at me as he climbs across the center console to the driver’s seat. “Did you really think I’d film that? Come on. It’s disgusting. You’re both so…old.”

“You really make me want to say bad words, you know that?”

“Wow, you’re taking to parenting really well already, N’oncle.”

I grind my teeth together and slam the door on his smiling face. “Come on, we’re going in my truck.”

Tenley’s eyes widen as I grab her hand and drag her along. “Okay, then.”

I walk around and open the passenger door for her first, and as soon as I climb in the other side, I feel her staring at me from her seat.

“JD,” she begins as I crank the truck. “Don’t take this the wrong way. But…” She clears her throat. “Just humor me for a second?”

“You want me to put the Jonas Brothers on again?”

She chuckles. “No, but would you mind taking off that jacket?”

I cock an eyebrow at her but obey her request, tossing the jacket into the back seat. “Can I lose the tie, too?”

“Sure, whatever,” she says, waving her hand. I discard the neck trap before I turn back to her expectantly. “Do you have any idea how much…” She trails off, her chest heaving. “Hell, could you please just kiss me again?”

I willingly oblige, leaning over the center console to meet her halfway, and that wave of heat begins burning up my insides the second I press my lips to hers again. Her left hand crawls over my right bicep until she rakes her nails over the thin fabric of my dress shirt, and I understand what she was too embarrassed to admit a second ago. I smile against her lips and flex for her, and she whimpers into my mouth, clutching at my arm tightly.

So. Damn. Hot.

This time I have to pull away before I get myself into a bind.

“Tenley Robin, you’re going to be the death of me,” I whisper, resting my forehead against hers and grinning broadly.

Then the car behind us lays on the horn while a text simultaneously comes through my phone. “You have two new messages from Big E,” announces my truck’s audio system. “Would you like me to read them?”

“Yes,” I answer as Tenley scoots back to her side of the truck, to my dismay. I sigh and drive away from the parking lot, eager for a distraction.

“Big E said, ‘Wait, why are you taking your clothes off? Ew. Gross. I don’t think I like this anymore,’ and ‘Can we go now? I’m really hungry. You can molest each other later.’ Would you like to reply?”

I snort and Tenley shakes her head, her cheeks reddening. “Yes,” I say. “Text Big E: But this was all your idea, remember?”

“Okay, message sent. Anything else?”

“Text Big E: Also, I am now going to be the king of that’s not what your mom said last night jokes.”

“Message sent.”

Tenley looks over at me, attempting an angry glare but failing. “I can’t even with the two of you.”